Smart practices when using labour hire

For many vegetable growing businesses, using a Labour Hire Provider (LHP) is the only practical option to source and manage workforce requirements, particularly given the current challenges facing the sector. In the context of the recent heightened focus from federal and state governments on issues relating to farm workers, there are many additional compliance issues and complexities to consider when engaging an LHP.
Despite the solid practices that many growers have in place to look after workers, it is important to know that engaging an LHP can also make that business liable for wrongdoing or illegal behaviour by that LHP.
Penalties for businesses are significant – including hefty fines and even jail time – so it is important for growers to have measures in place to protect themselves and their businesses.
We have prepared the following information and resources for growers to consider in their dealings with LHPs.

Protect yourself with a written contract

Regulators from the Fair Work Ombudsman (FWO) and labour hire licencing authorities can drop into your farm at any time.
If your LHP does do the wrong thing by their employees – and regulators are asking you some tough questions – a written agreement will help in establishing that your business was not a knowing participant in misconduct.
Prepare a contract to discuss with the LHP and have them sign it so you are both aware of the requirements and obligations of your arrangement.

Things to include may be:

  • LHP identification (e.g., ABN, company director IDs, full names, physical address, phone and email)
  • immediate advice by the LHP of changes to the office holders of the business
  • immediate advice of any change to the LHP’s labour hire licence status (if in a participating state)
  • no subcontracting allowed, or only upon request so you can check details first (businesses doing the wrong thing often hide under other businesses)
  • terms for worker wages and entitlements
  • requirement to comply with workplace laws
  • agree to provide legal financial documents for review at regular intervals
  • agree it’s illegal to use Electronic Sales Suppression Tools (ESSTs) and that the LHP will not do so*
  • WHS requirements met for workers
  • all workers engaged have Australian working rights
  • necessary information provided to workers for your farm (e.g. dress code, lunch and water requirements etc.)

* Recent reports from the FWO have indicated that non-compliant LHPs are creating two sets of paperwork – one for the host employer, and one for their actual business, to trick host employers.

Have a read through our tips and warning signs below, to feel more confident in your relationship and requests to your LHP.

Tips to avoid non-compliant LHPs

  1. If there is a labour hire licensing authority in your state, check your LHP has a valid licence and tag them through the authority’s website to receive updates on their licence status.
  2. Use the Visa Entitlement Verification Online (VEVO) website or app to check that workers have the legal right to work in Australia and on your farm.
  3. Ask workers for a copy of their payslip to check they are being paid as per your agreement with the LHP.
  4. Cross check your LHP’s time and wages records on a regular basis.
  5. Ask your LHP for a copy of their quarterly superannuation statement and tax statements to cross check that they are lodging super and tax correctly for their workers.
  6. Check the LHP has provided written employee agreements and is not subcontracting workers on individual ABNs.
  7. Check if the LHP has been in business for a while and has good reviews.
  8. Ask the LHP about their WHS policies, employee induction, training, and supervision practices.
  9. Spend some time talking to the employees of the LHP working on your farm and observe if they seem happy and willing to chat.
  10.  Make sure you investigate any complaints or issues that arise.

Warning signs your LHP is non-compliant

  1. The LHP can’t provide a Certificate of Currency for insurances such as workers compensation and public liability.
  2. The LHP has been prosecuted for breaches of WHS, Fair Work or Migration Laws.
  3. The LHP can’t identify the correct Award and pay rates for their workers.
  4. The LHP is angry or annoyed when you request any paperwork from them or their workers. All LHPs should know this is the law and have no issues.
  5. The LHP subcontracts workers without your consent.
  6. The LHP brings workers in and out of your farm throughout the day without your knowledge or consent, cycling them through surrounding farms.
  7. The LHP punishes you for asking questions, and takes away your best workers.
  8. The LHP came to Australia as part of the PALM scheme or on another temporary visa and their business owner is not in Australia.
  9. The LHP is paying workers in cash and not providing payslips.
  10. Workers ask you for extra work on weekends (without the LHP) as they have not been paid or need more money.
  11. There are unlawful deductions on worker payslips for things like access to kitchen and laundry.
  12. Workers complain of substandard accommodation or overcrowding.
  13. The LHP has several different business names and operates in different states. (This doesn’t necessarily mean they are doing the wrong thing but it’s common for unethical LHPs to go underground when things go wrong for them, and to move between states changing business names often.)

Speak up

If you see something, say something.
Without growers reporting the unethical behaviour they are witnessing in growing regions, it’s impossible for labour hire authorities to chase illegal contractors down.
You can report anonymously on the Australian Border Force (ABF) website, or to your state labour hire authority.
Any information you can share may be helpful to an active case, however authorities really need the below information in order to act:

  • Business name
  • Contact person
  • ABN
  • Address / phone
  • Payslips or evidence from affected workers

Communicate workplace policies

Your business should have policies in place to ensure that all staff are safe, understand workplace processes and practices, including what is acceptable and unacceptable behaviour in the workplace.
It’s important to remember that you are equally as responsible for the workers employed by your LHP, as you are for your own workers.
Make sure your LHP and staff have access to the same policies as your own team. You could share them via email, via social networking groups alongside rosters, on a portal on your website, and have them printed in your workplace or on posters. Staff should know who they can talk to if they have a concern, and the grievance policy if the concern is with their direct supervisor.
Make sure to review your policies at regular intervals and ensure compliance.
The Horticulture Showcase is a great place to get some advice on the sort of things that should be in your workplace policies. NSW Government has a great example of how to set workplace policies here, or try your state workplace safety authority. More information can also be found below under Fair Work Ombudsman.

[Attached: molecular data]
........
Record 1
This record from the Open Molecules 2025 dataset describes a single C4H5FS molecule at a distorted geometry. The level of theory is ωB97M-V/def2-TZVPD.

Geometry (Å):
C1 2.47 -1.12 0.50
C2 1.40 -0.58 -0.08
C3 -1.12 1.26 -0.42
C4 -2.55 0.90 -0.22
H1 3.27 -1.85 0.13
H2 1.26 -1.34 -1.12
H3 -0.84 1.76 -1.37
H4 -2.87 0.17 0.78
H5 -3.63 1.46 -0.61
F1 2.62 -0.88 1.87
S1 -0.02 0.22 0.54

Calculated values
* energy relative to the best compared isomer or geometry (same formula, charge and spin): 4.454 eV
* calculated total energy: -653.27728 Ha
* SMILES string: C=CS/C=C\F

Record 2
This record from the Open Molecules 2025 dataset describes a single C3H3N3 molecule at a distorted geometry. The level of theory is ωB97M-V/def2-TZVPD.

Geometry (Å):
C1 -0.08 -0.46 1.23
C2 1.18 0.19 -0.54
C3 -1.11 0.14 -0.70
H1 -0.09 -0.53 2.33
H2 2.14 0.32 -1.04
H3 -2.01 0.44 -1.23
N1 1.11 -0.09 0.76
N2 0.06 0.43 -1.34
N3 -1.20 -0.43 0.54

Calculated values
* energy relative to the best compared isomer or geometry (same formula, charge and spin): 0.333 eV
* calculated total energy: -280.36855 Ha
* SMILES string: c1ncncn1

* * * * *

# 1
C14H23N2PPb | ωB97M-V with the def2-TZVPD basis set

Results
- total charge = 0
- E_HOMO (eV) = -7.2379
- energy (eV) = -32404.4199
- M (g/mol) = 457.53
- energy above the lowest of the compared OMol25 structures with the same formula, charge and spin (kJ/mol) = 0.0

Element x y z (Å)
C1 0.4892 3.2358 -1.8767
C2 -0.7947 2.7796 -1.5871
C3 -0.9927 1.7866 -0.6058
C4 0.0901 1.2995 0.1218
C5 1.3780 1.7528 -0.1924
C6 1.5891 2.7429 -1.1728
C7 -2.4022 1.3172 -0.3433
C8 -2.6336 -0.1756 -0.0600
N1 -2.7541 -1.0310 -1.2146
Pb1 -0.2573 -0.0424 2.0174
C9 2.5677 1.0850 0.4824
P1 2.1237 -0.6880 0.8375
H1 -1.6590 3.1874 -2.1212
H2 2.6080 3.0901 -1.4135
H3 0.6384 3.9628 -2.6691
H4 2.8288 1.5813 1.4407
H5 3.4457 1.0975 -0.1849
H6 -2.7920 1.8406 0.5520
H7 -3.0305 1.5923 -1.2052
H8 -1.8816 -0.6123 0.6483
C10 3.5061 -1.4320 1.7144
C11 2.1584 -1.3458 -0.8543
H9 -3.5936 -0.2630 0.4734
C12 -1.5947 -1.1120 -2.0811
C13 -3.2921 -2.3492 -0.8860
H10 0.8272 -1.0659 4.6571
H11 -1.8404 -1.7123 -2.9703
H12 -1.2875 -0.1134 -2.4090
H13 -0.7499 -1.6007 -1.5530
H14 -3.5051 -2.9217 -1.7973
H15 -2.5647 -2.9266 -0.2821
H16 -4.2283 -2.2514 -0.3189
H17 3.1817 -1.3128 -1.2553
H18 1.8182 -2.3900 -0.8109
H19 1.4950 -0.7811 -1.5266
H20 4.4524 -1.3521 1.1667
H21 3.6214 -0.9744 2.7070
H22 3.2601 -2.4960 1.8457
H23 -0.6446 -1.8750 1.6970
N2 0.0315 0.7131 5.8201
C14 0.3881 -0.2398 5.2098

***

# 2
C14H23N5O2S | ωB97M-V with the def2-TZVPD basis set

Results
- structure (SMILES) = CC[C@@H](C)Nc1nc(SC(C(C)=O)C(C)=O)nc(N(C)C)n1
- total charge = 0
- E_HOMO (eV) = -8.8665
- energy (eV) = -37273.3733
- M (g/mol) = 325.44
- energy above the lowest of the compared OMol25 structures with the same formula, charge and spin (kJ/mol) = 10.0

Element x y z (Å)
C1 1.0554 -1.7291 -4.1686
C2 -0.2360 -1.0265 -3.7684
C3 0.0299 0.2719 -2.9921
C4 0.4757 1.4111 -3.9039
N1 -1.1555 0.6758 -2.2648
........
[End of the molecular data]


Labour hire licencing schemes
AUSVEG has long advocated for a National Labour Hire Licencing Scheme to target and remove unethical labour hire contractors from industry.
Currently, there are only some state level organisations.

Click on the above states to view the relevant labour hire authority website, or click here for an update on where the remaining states and territories sit with this matter.
Having this scheme in your state means that LHPs must register with the authority for a licence (which you can check on their websites), and you can feel safer knowing that the LHP has passed a variety of clearance checks.

Fair Work Ombudsman (FWO)
The FWO has developed resources to assist you in managing your labour contracting, including guides and tools you can use. Read about Contracting labour and supply chains and Managing your labour contracting.
You can also check out FWO’s Horticulture Showcase webpage: Using Labour Hire.

Assurance schemes
StaffSure is an ethical labour sourcing scheme for labour hire providers. It was developed by their peak industry body Recruitment, Consulting & Staffing Association. Checking if your LHP is certified is a good way to feel assured that you are dealing with a reputable company.
Fair Farms is an industry-led initiative aimed at fostering fair and responsible employment practices in Australian horticulture. Consider joining Fair Farms for more support and information on ethical employment and support with LHPs. Alternative international schemes commonly used for ethical employment are Sedex and GlobalG.A.P.

Update on the Closing Loopholes Bill

These data records were left in the piece by mistake >
# 1
The following is a DFT calculation (ωB97M-V/def2-TZVPD) of C6Cl5O6ReSbSe4 as an isolated structure in a non-equilibrium geometry.

Geometry as ORCA input:
```
! RIJCOSX wB97M-V def2-TZVPD def2/J DEFGRID3
* xyz -2 2
Re 0.354 -0.486 0.921
Se 3.598 3.433 2.989
Sb 3.099 1.133 2.543
Se 0.595 0.475 2.956
Se 2.160 0.700 0.138
Se 4.683 -0.449 3.406
O -0.443 1.859 -2.008
Cl -1.210 0.982 -1.194
O -2.550 0.880 -1.649
O -1.168 1.423 0.192
O -0.589 -0.345 -1.200
Cl -1.830 -5.531 -2.632
C -1.722 -4.308 -1.414
C -2.863 -3.873 -0.753
Cl -4.400 -4.576 -1.126
C -2.771 -2.870 0.210
Cl -4.178 -2.280 1.025
C -1.546 -2.272 0.508
O -1.395 -1.296 1.371
C -0.368 -2.779 -0.114
O 0.793 -2.267 0.287
C -0.477 -3.764 -1.088
Cl 0.966 -4.299 -1.873
*
```

Calculated values
Expectation value of S²: 0.7996
HOMO level (spin up / spin down) (eV): -2.21 / -2.09
E_tot (a.u.): -12905.2332
Energy relative to the best compared isomer or geometry (same formula, charge and spin) (kJ/mol): 121.1
Maximum force (eV/Å): 2.2

# 2
The following is a DFT calculation (ωB97M-V/def2-TZVPD) of an isolated ion of composition C5H8N2 and charge +1 in a non-equilibrium geometry.

Geometry as ORCA input:
```
! RIJCOSX wB97M-V def2-TZVPD def2/J DEFGRID3
* xyz 1 2
C 1.103 -0.080 1.917
C 1.054 0.308 0.427
C -0.173 -0.078 -0.292
C -0.244 -0.019 -1.794
N -1.651 -0.382 -2.005
C -2.159 -0.345 -0.773
N -1.379 0.089 0.264
H 0.688 -1.061 2.103
H 0.572 0.629 2.549
H 2.133 -0.107 2.253
H 1.943 -0.049 -0.093
H 0.966 1.405 0.401
H 0.484 -0.694 -2.246
H -0.151 0.999 -2.183
H -3.186 -0.616 -0.528
*
```

Calculated values
Expectation value of S²: 0.7685
HOMO level (spin up / spin down) (eV): -16.55 / -16.62
E_tot (a.u.): -304.4387
Energy relative to the best compared isomer or geometry (same formula, charge and spin) (kJ/mol): 192.2
Maximum force (eV/Å): 4.4

# 3
The following is a DFT calculation (ωB97M-V/def2-TZVPD) of a 2-piece molecular cluster, C11H27FN4O overall in a non-equilibrium geometry.

Geometry as ORCA input:
```
! RIJCOSX wB97M-V def2-TZVPD def2/J DEFGRID3
* xyz 0 1
C 1.277 -3.669 -0.249
C 1.326 -1.997 -0.216
C 0.047 -1.498 -1.114
N -0.654 -0.268 -0.598
C -2.027 -0.112 -1.219
C -3.190 0.348 -0.111
C -4.383 -0.799 -0.102
C -5.794 -0.270 0.565
O -5.635 -0.237 2.032
C 0.178 0.990 -0.689
N 0.125 2.028 -1.790
N 1.106 1.187 0.342
C 2.031 2.376 0.457
C 3.522 1.913 1.057
C 4.141 0.592 0.309
N 4.065 -0.652 1.219
H 1.181 -3.976 -1.375
H 2.243 -4.147 0.246
H 0.280 -4.019 0.298
H 1.268 -1.711 0.919
H 2.297 -1.608 -0.764
H 0.321 -1.311 -2.249
H -0.729 -2.404 -1.115
H -2.093 0.653 -2.101
H -2.429 -1.147 -1.657
H -2.662 0.337 0.934
H -3.575 1.419 -0.415
H -4.028 -1.827 0.389
H -4.605 -1.055 -1.242
H -5.999 0.802 0.100
H -6.664 -1.023 0.252
H -6.074 0.637 2.315
H 1.052 2.163 -2.268
H -0.291 2.931 -1.471
H 1.174 0.466 1.120
H 2.275 2.916 -0.555
H 1.598 3.116 1.287
H 4.260 2.822 0.855
H 3.502 1.761 2.225
H 3.686 0.369 -0.755
H 5.308 0.761 0.127
H 4.985 -0.688 1.741
H 3.349 -0.403 1.961
F 4.236 4.236 1.304
*
```
Here the piece continues >

The Fair Work Legislation Amendment (Closing Loopholes) Act 2023 received Royal Assent on 14 December 2023, which means that it was passed by Parliament and became law. This impacts vegetable growers as there are several changes that will be relevant to your workplace. These changes commenced on 15 December 2023, with the next key change to occur in July this year.
Below is a timeline for changes over the next 12 months.

Fair Work Legislation Amendment (Closing Loopholes) Act 2013 - Key dates for changes affecting the Fair Work Commission
Fair Work Legislation Amendment (Closing Loopholes) Act 2013 – Key dates for changes affecting the Fair Work Commission

Changes as of 15 December 2023

Rules for labour hire workers
Employees, unions, and host employers can apply (from November this year) to the Fair Work Commission for new types of ‘orders’ relating to labour hire workers.
When an order is in place, the labour hire provider must pay the labour hire worker the same as anyone in the host employers’ workplace, if they are performing the same role.

New discrimination protections
Stronger protections are now in place against discrimination for employees experiencing family and domestic violence.
It is against the law to terminate an employee’s contract or take adverse action because they have been experiencing family or domestic violence.

Small business redundancy exemptions
Small businesses may now be required to pay redundancy pay to employees who are made redundant, if the business has downsized due to insolvency leading up to going bankrupt or into liquidation.

**Records of molecules, kept here for reference:**
-- begin --
11
Properties=species:S:1:pos:R:3:forces:R:3 method="wB97M-V/def2-TZVPD" fmax_ha_per_bohr=0.0128 homo_lumo_gap_ev="5.97 / 6.08" total_charge=0 molar_mass_g_mol=96.08
O -0.4839 2.2771 -0.5970 -0.1537 -0.2237 -0.1504
C -0.6063 1.1313 -0.1021 0.6121 -0.1837 -0.0635
C -1.0227 -0.2666 -0.4610 -0.2677 0.1112 0.1496
C -0.0543 -1.2609 -0.2866 0.1615 0.0514 0.0249
C 1.1620 -0.7945 0.1410 -0.1047 -0.0385 -0.2233
C 1.0064 0.6062 0.4742 0.0250 0.4757 0.3118
O 1.6796 1.4104 1.0378 -0.3939 -0.4997 -0.1635
H -1.4119 1.0792 0.7357 0.0757 0.0742 0.0491
H -2.0848 -0.4951 -0.5043 0.1098 -0.0027 0.0917
H -0.2802 -2.3055 -0.4754 0.0744 0.1281 -0.0986
H 2.1131 -1.3120 0.0617 -0.1386 0.1078 0.0722



12
Properties=species:S:1:pos:R:3:forces:R:3 method="wB97M-V/def2-TZVPD" fmax_ha_per_bohr=0.0939 homo_lumo_gap_ev=8.35 total_charge=0 molar_mass_g_mol=112.08
O 0.5468 -1.0078 1.5345 -0.1284 3.5201 -2.0590
C 0.4298 0.0507 0.7855 0.2635 -0.8574 4.3914
C 0.2889 1.5838 1.1119 -0.6814 -1.0950 -2.0010
C -0.1149 2.2026 -0.0733 -0.3422 -3.1567 2.3087
O -0.1931 1.1710 -1.0642 -0.1657 3.7797 -1.5392
C 0.1637 -0.0307 -0.5744 -1.3453 -1.7531 -0.3761
C -0.3156 -1.1846 -1.1662 -0.5090 0.2422 -0.5021
O -0.5537 -2.3738 -0.5275 -0.2069 1.8988 -4.3179
H 0.2180 1.9972 2.1058 0.3673 0.0678 -0.0701
H -0.6698 3.2149 -0.1441 1.3728 -2.0313 -0.7262
H -0.5920 -1.1034 -2.2206 -0.3452 -0.3742 0.3847
H -0.0678 -2.1550 0.2149 1.7205 -0.2409 4.5067



14
Properties=species:S:1:pos:R:3:forces:R:3 method="wB97M-V/def2-TZVPD" fmax_ha_per_bohr=0.0869 homo_lumo_gap_ev="4.11 / 4.32" total_charge=+2 multiplicity=7 molar_mass_g_mol=278.44
C 0.5255 1.0221 -1.7109 0.2500 -0.6340 2.7317
C 0.7860 1.7303 -2.6706 -0.6086 -1.4930 2.1430
H 0.9760 2.3453 -3.5355 -0.0725 -0.2701 0.2115
H 2.4137 -0.0545 -1.0709 -0.1810 -0.0817 0.6017
O 0.2360 0.3445 -0.3133 0.4661 1.5504 -4.1629
C 0.9866 -0.7107 0.0285 -0.9070 0.9671 -2.7169
O 0.4577 -1.6797 0.5614 0.2553 -1.4085 1.5306
O 2.2045 -0.7354 -0.3857 1.2691 -0.3185 -0.2707
Sm 0.9318 -4.2488 1.3623 -0.1761 1.4107 -0.3901
C -2.3538 0.6142 1.5905 3.5724 0.1028 -0.7512
C -1.3375 1.3196 1.4936 -1.8467 -0.2883 1.5151
O -2.9355 -0.5330 1.3972 -1.6375 -0.6387 0.0018
H -0.5721 1.8481 2.0403 -0.3514 0.2831 -0.4912
H -2.3190 -1.2620 1.2131 -0.0320 0.8187 0.0476
-- stop --
**The entry goes on:**

Workplace delegates’ rights
Workplace delegates such as union representatives now have more entitlements within a workplace. This includes employers no longer being able to refuse to deal with them, make false representation, or hinder their rights.
This must be entered into all EBAs by July this year.

Right of entry
Government officials assisting WHS representatives no longer require an entry permit.

Compulsory conciliation conferences in protected action ballot matters
A protected action ballot is a secret vote by eligible employees on whether they want to take industrial action for a proposed enterprise agreement.
Going forward, for this to be protected, workers must have the employee bargaining representative and the employer in attendance.

Changes to WHS and workers’ comp
The Asbestos Safety and Eradication Agency function now include silica. Workers’ compensation claims will be streamlined for first responders who sustain PTSD.

In addition to the above changes over the next year, there is also a Fair Work Legislation Amendment (Closing Loopholes No. 2) Bill 2023 that is still before Parliament. Please be aware that there are more changes to come. You can read what is being considered here:

For more information on the current changes, please visit the Fair Work Ombudsman website here.

For more information, contact AUSVEG General Manager Public Affairs and Communications Lucy Gregg at, or 03 9882 0277.